Recent Blogs


Expanding Water Services with Digital Finance

Upon realizing that rural community water projects were often unsustainable due to poor accounting systems, Grundfos conceptualized a pay-as-you-go (PAYGO) model that improves community water management by increasing transparency and reducing the reliance on cash.

Increasing Clean Energy Access through Digital Finance

Angaza is one of many new businesses helping to increase access to clean energy by providing innovative financing options.

Addressing Big Development Challenges with Financial Innovation

Financial innovation has great potential to help solve big development challenges in access to energy, water, education, health and agriculture.

Electronic Delivery of Cash Transfers in India: The Agent Story

The G2P ecosystem in Andhra Pradesh offers an opportunity to advance financial inclusion, and also offers many lessons as direct benefit transfers are rolled out across India.

Technology is not Actually a Barrier for Very Poor G2P Recipients

For recipients of social cash transfers in the Indian state of Andhra Pradesh, technology - whether a smart card or mobile phone - is rarely a barrier to use for recipients.

Is it Reasonable to Expect DFIs to Build Markets?

Beyond investing in individual MFIs, how can DFIs facilitate broader development of pro-poor financial service markets?

Advancing Financial Inclusion for Women in Africa

This blog discusses what role policy makers and regulators can play to advance financial inclusion for women in Africa.

Closing the MSME Credit Gap for the Informal Sector

An estimated 80 percent of enterprises in developing economies - approximately 280-340 million - are informal firm. Bringing these enterprises into the formal sector requires specialized approaches, due to the varying degree of informality across countries.

What If The Poor Weren't Marginalized?

The 2013 CGAP Photo Contest Winners showcases how poor people's lives are made better if they are not marginalized financially.

Jipange KuSave, M-Shwari, and the Influence of Startups

Even though startups often fail, their ideas and lessons can inform the next innovations in expanding access to financial services. The case of Jipange KuSave and M-Shwari is a great example of how one "failed" startup can enabling another's success.

These records of crystals were left in the text by mistake
=====
RbC2S2NO4F4 | PBE | optimized geometry

Lattice parameters (Å, degrees): 5.5738 18.5759 17.6600 90.00 90.76 90.00
With the nearest neighbours (Å) after each atom.
Space group P2_1/c (No. 14)
One atom of each set of equivalent atoms:
Rb: 0.0057 0.2487 0.2617  6 O 2.90-3.20, 1 F 3.09
Rb: 0.0084 0.1224 0.5339  6 O 2.95-3.19, 2 N 3.15
C: 0.4469 0.5039 0.7365  2 F 1.35-1.36
C: 0.4562 0.1486 0.9474  2 F 1.36
C: 0.4743 0.1274 0.0333  2 F 1.36
C: 0.4897 0.0603 0.2930  2 F 1.36
S: 0.4534 0.0223 0.3909  2 O 1.44-1.45, 1 N 1.60
S: 0.4555 0.5899 0.7957  2 O 1.45, 1 N 1.61
S: 0.4582 0.2144 0.0885  2 O 1.45-1.46, 1 N 1.60
S: 0.4977 0.2498 0.4419  2 O 1.45-1.46, 1 N 1.60
N: 0.4153 0.7347 0.9726  2 S 1.60
N: 0.4416 0.0563 0.6265  2 S 1.60-1.61
O: 0.1975 0.0250 0.4057  1 S 1.45
O: 0.2045 0.2292 0.0997  1 S 1.46
O: 0.2095 0.6156 0.7999  1 S 1.45
O: 0.2634 0.2203 0.4219  1 S 1.46
O: 0.3071 0.7345 0.1089  1 S 1.45
O: 0.3688 0.1384 0.7355  1 S 1.45
O: 0.3874 0.5596 0.0573  1 S 1.44
O: 0.3912 0.7086 0.3446  1 S 1.45
F: 0.2306 0.0028 0.2012  1 C 1.36
F: 0.2388 0.1302 0.9179  1 C 1.36
F: 0.2830 0.5860 0.2134  1 C 1.36
F: 0.2965 0.0814 0.0530  1 C 1.36
F: 0.3102 0.5960 0.4516  1 C 1.36
F: 0.3325 0.1152 0.2792  1 C 1.36
F: 0.3686 0.6160 0.5929  1 C 1.36
F: 0.3777 0.0059 0.8158  1 C 1.35

Formation energy   -1.464 eV/atom
Total magnetization   0.17 μB per cell
Mass density   2.38 Mg/m³
Energy with MP2020 corrections   -6.00 eV per atom
=====

Closing the Credit Gap for Micro, Small and Medium Enterprises

Micro, small and medium enterprises face many obstacles in developing countries, but access to finance remains by far the most cited obstacle experienced by firms trying to formalize, grow and increase productivity.

Can MFIs Leverage Mobile Banking to Serve Customers Better?

When given the choice of using a mobile payment platform - bKash - or a traditional bank branch, 42% of business borrowers in a BRAC pilot chose to use both options for making payments.

The Worrying Trend of Interest Rate Caps in Africa

Many countries in Africa have established interest rate ceilings to protect consumers from high interest rates charged by microlenders. However, despite good intentions, interest rate ceilings can actually hurt low-income populations by limiting their access to finance and reducing price transparency.

FinMark Trust and Financial Market Development in South Africa

At a time when neither the government nor the private sector in South Africa were clear about the obstacles to reaching the base of the pyramid with financial services, FinMark Trust demonstrated how an effective market facilitator can develop an evidence base to inform policy and approaches.

FI2020: Scarcity, Tunneling and Financial Inclusion

The pressure and distraction of living in scarcity - constantly having too little and constantly worrying about making day-to-day ends meet - ultimately affects poor people's decision-making abilities. Evidence suggests that this "scarcity" framework has serious implications for financial inclusion, especially regarding the uptake of new products and services.

Using Mobile Banking for New Microfinance Business Models

BanKO is starting to blur the lines between microfinance and mobile banking by leveraging a network of agents to manage remote customer registration and due diligence, helping it to run more efficiently and at lower costs.

Understanding Customers for Financial Innovation in Ghana

The branchless banking market in Ghana is promising but has not gained traction as expected. CGAP and Tigo Cash decided to collaborate in order to better understand what’s preventing Ghanaian customers from actively using mobile money.

Why do Partnerships in Mobile Financial Services Struggle?

Mobile financial services implementations are structurally complex, and success can depend on building commercial partnerships between financial institutions, mobile network operators, agent network managers and service providers. However, these partnerships are complicated and can be difficult to forge.

Public Funds Should Catalyze, Not Crowd Out, Private Investment

Once a private financial market is well-developed, public funding should be aimed at catalyzing private investment at an affordable price and crowding-in more private financial providers.

Mobile Wallets: Is a Transition Underway in Bangladesh?

E-wallet use is becoming more common in Bangladesh. However, OTC transactions are still very popular and will likely remain so until the process of opening an e-wallet account and using it regularly become easier for and more attractive to the poor.